Thursday, July 12, 2007

Buster's Day

-- Here the piece breaks off for calculated crystals --
- - -
(1)
This entry pairs a crystal structure of PrFe4Cu3O12 with its computed X-ray diffraction stick pattern. Radiation: λ = 1.5418 Å (Cu Kα). Structure: a cell relaxed with GGA+U.
No peak broadening, texture or thermal motion is included.

Top 10 peaks for 2θ = 15–90°, low angle first:
two_theta, Rel. int.
16.71, 9.2
23.72, 3.9
33.80, 100.0
37.93, 9.3
41.71, 4.4
45.23, 8.4
48.54, 23.6
60.46, 47.8
71.09, 11.5
81.08, 16.3

Atomic structure:
```
PrFe4Cu3O12
1.0
-3.751 3.751 3.751
3.751 -3.751 3.751
3.751 3.751 -3.751
Pr Fe Cu O
1 4 3 12
direct
0.000 0.000 0.000
0.000 0.000 0.500
0.000 0.500 0.000
0.500 0.000 0.000
0.500 0.500 0.500
0.000 0.500 0.500
0.500 0.000 0.500
0.500 0.500 0.000
0.145 0.311 0.834
0.166 0.477 0.311
0.166 0.855 0.689
0.311 0.166 0.477
0.311 0.834 0.145
0.477 0.311 0.166
0.523 0.689 0.834
0.689 0.166 0.855
0.689 0.834 0.523
0.834 0.145 0.311
0.834 0.523 0.689
0.855 0.689 0.166
```



(2)
This entry pairs a crystal structure of Co2S3O12 with its computed X-ray diffraction stick pattern. Radiation: λ = 1.5418 Å (Cu Kα). Structure: a cell relaxed with GGA+U.
No peak broadening, texture or thermal motion is included.

Top 10 peaks for 2θ = 15–90°, low angle first:
two_theta, Rel. int.
20.70, 76.1
24.30, 100.0
29.42, 37.0
32.09, 14.8
33.02, 25.1
36.21, 36.7
47.36, 23.7
49.78, 14.7
54.55, 10.1
56.68, 29.9

Atomic structure:
```
Co2S3O12
1.0
4.299 2.482 6.994
-4.299 2.482 6.994
0.000 -4.964 6.994
Co S O
4 6 24
direct
0.140 0.140 0.140
0.360 0.360 0.360
0.640 0.640 0.640
0.860 0.860 0.860
0.041 0.750 0.459
0.250 0.541 0.959
0.459 0.041 0.750
0.541 0.959 0.250
0.750 0.459 0.041
0.959 0.250 0.541
0.006 0.805 0.615
0.058 0.911 0.276
0.089 0.724 0.942
0.115 0.305 0.506
0.195 0.385 0.994
0.224 0.589 0.442
0.276 0.058 0.911
0.305 0.506 0.115
0.385 0.994 0.195
0.411 0.558 0.776
0.442 0.224 0.589
0.494 0.885 0.695
0.506 0.115 0.305
0.558 0.776 0.411
0.589 0.442 0.224
0.615 0.006 0.805
0.695 0.494 0.885
0.724 0.942 0.089
0.776 0.411 0.558
0.805 0.615 0.006
0.885 0.695 0.494
0.911 0.276 0.058
0.942 0.089 0.724
0.994 0.195 0.385
```



(3)
This entry pairs a crystal structure of TmCuW2O8 with its computed X-ray diffraction stick pattern. Radiation: λ = 1.5418 Å (Cu Kα). Structure: a cell relaxed with GGA+U.
No peak broadening, texture or thermal motion is included.

Top 10 peaks for 2θ = 15–90°, low angle first:
two_theta, Rel. int.
23.29, 50.5
28.75, 100.0
29.78, 88.4
34.89, 38.7
35.38, 29.2
36.15, 21.4
49.36, 27.2
50.46, 18.9
51.76, 21.3
61.65, 23.5

Atomic structure:
```
TmCuW2O8
1.0
5.080 0.000 0.000
0.000 5.966 0.000
-4.614 0.000 9.940
- - -

I always assumed Buster spent his day sleeping. But I have found evidence of late, that I am wrong about that. I should have known, though, from other mischief he gets himself into! Some days when I get home he is outside anxiously waiting for me. He's not fond of the heat or the cold, so the day has to be about perfect for him to be outside for any amount of time. We have him boxed into our kitchen, so he can't go too far anymore when he is indoors. It is, of course, too late for our couch. He totally destroyed the one in the front room before we got the baby gate to keep him inside the kitchen. If I leave a waste basket out anywhere he will tip it over and tear apart anything in that. All garbage is kept in cupboards or up on a ledge or in a tub where he can't reach it. I'm sure that the AdVisor paper delivery boy teases him when he delivers the paper. Buster goes nuts when anyone comes to the dooor. My can he jump HIGH! So I'm sure the boy enjoys seeing how high he jumps while he stands there with paper in hand. Even the sound of the postman at the door will send Buster into hysterics. So. It isn't sleeping that he does all day that's for sure. He is always glad to see me and shows that joy by chewing his bone cheerfully on my shoe and curling up next to me while I nap. What a dog.

Wednesday, July 11, 2007


How long has it been since your husband really surprised you? We've been married for more than 35 years so mine is fairly predictable! He has been known to surprise me though. Saturday afternoon's was a pretty good one. Here's how it went: We've been planning a trip to the boundary waters for nearly 6 mos. You have to have your permits in place before you go in and those can sometimes be hard to get at the last minute. Boundary waters canoeing is fabulously beautiful and is the premier wilderness experience. We haven't gone for a couple of years and Ron has been longing for the quiet, the fishing and the beauty of it all. I have been secretly dreading it. Though I do indeed love to canoe, I wasn't looking forward to the 'roughing' it that this sort of trip requires. It's sleeping in the tent, on the ground; cooking over the fire or campstove, bathing in the lake and digging your own latrine for a week. (not to mention the physical endurance it takes to haul packs and traipse over mosquito infested portages) We are also going with another couple and they have been planning on this for as long as we have.

So when I got home from work on Saturday evening, he tells me to come sit down. He has news. I'm thinking 'oh my goodness. Did someone die?' But instead he tells me that he's cancelled our boundary waters trip and made reservations on the edge of the boundary waters instead. We will be staying in a cabin (with a stove and a refigerator no less) for the week. I am stunned. It means beds instead of the ground. No portaging but still the chance to canoe and fish as much as we want. It means no electricity, but we can haul in as many books as our heart's desire. I was truly surprised! And our friends, it seems, were just as eager to do this as they were to do a regular boundary waters trip. It's all set. I am actually looking forward to going and enjoying the seclusion of it all. I plan to read and write more than I've had a chance to in a very long time. What a guy! He is worth my effort.

Monday, July 9, 2007

A Boring life these days!

By now you must realize that not much goes on in my life. Exciting posts for me are when I've been up to see the grandkids and can tell you about the wonderful, smart things they've been doing lately! Sorry about that for all you out there hunting for intelligent, thoughtful conversations. Maybe next post. Anyway. The grandkids. The youngest has started to crawl and get to exactly where he wants to go and put in his mouth whatever he comes up with from the floor. He really is a pretty smart kid! He even started on the sippy cup this week according to his parents. Wow. Then the oldest is the busiest boy I've ever met. He makes me exhausted just to watch him. He's learned how the garage door opens, he waters the plants, digs in the dirt, helps with the dishes, and does general 'help' work for his parents. He's learning how politeness gets him a lot further than whining ever does. Now they know why they were 'slaves' to their parents when they were that age! The best thing that came from his mouth though, was, as we were eating salad 'this is good'. Everything he ate was good, and he could have put any teenager to shame. That boy loves to eat!